Wanted =
Could you filter the entries below: keep the lines with the word "data"?
File =
~~~
1.
First-principles (meta-GGA r2SCAN) data for Sr3Al2As4 after structural relaxation, as listed in the Materials Project database.

Computed properties:
formation energy = -1.155 eV/atom

Lattice parameters (Å, degrees): 8.572 8.572 6.844 89.56 89.56 75.31
Sites, in units of the cell vectors:
As 0.059 0.707 0.024
As 0.707 0.059 0.524
As 0.941 0.293 0.976
As 0.259 0.422 0.575
As 0.741 0.578 0.425
As 0.578 0.741 0.925
As 0.293 0.941 0.476
As 0.422 0.259 0.075
Al 0.582 0.828 0.581
Al 0.172 0.418 0.919
Al 0.828 0.582 0.081
Al 0.418 0.172 0.419
Sr 0.598 0.402 0.750
Sr 0.252 0.993 0.962
Sr 0.402 0.598 0.250
Sr 0.993 0.252 0.462
Sr 0.007 0.748 0.538
Sr 0.748 0.007 0.038

=====

2.
First-principles (meta-GGA r2SCAN) data for Sr3AlAs3 after structural relaxation, as listed in the Materials Project database.

Computed properties:
formation energy = -1.256 eV/atom

Lattice parameters (Å, degrees): 10.161 10.161 12.748 90.00 90.00 142.10
Sites, in units of the cell vectors:
Sr 0.489 0.135 0.869
Sr 0.989 0.635 0.631
Sr 0.511 0.865 0.131
Sr 0.175 0.175 0.651
Sr 0.675 0.675 0.849
Sr 0.135 0.489 0.869
Sr 0.865 0.511 0.131
Sr 0.365 0.011 0.369
Sr 0.635 0.989 0.631
Sr 0.325 0.325 0.151
Sr 0.011 0.365 0.369
Sr 0.825 0.825 0.349
As 0.545 0.862 0.380
As 0.862 0.545 0.380
As 0.209 0.209 0.898
As 0.638 0.955 0.880
As 0.362 0.045 0.120
As 0.791 0.791 0.102
As 0.455 0.138 0.620
As 0.955 0.638 0.880
As 0.138 0.455 0.620
As 0.709 0.709 0.602
As 0.045 0.362 0.120
As 0.291 0.291 0.398
Al 0.915 0.085 0.000
Al 0.415 0.585 0.500
Al 0.085 0.915 0.000
Al 0.585 0.415 0.500

=====

3.
First-principles (meta-GGA r2SCAN) data for AlAu after structural relaxation, as listed in the Materials Project database.

Computed properties:
formation energy = -0.423 eV/atom

Lattice parameters (Å, degrees): 3.503 6.269 6.270 91.52 90.00 90.00
Sites, in units of the cell vectors:
Au 0.250 0.187 0.000
Au 0.250 0.311 0.485
Au 0.750 0.813 0.000
Au 0.750 0.689 0.515
Al 0.250 0.922 0.322
Al 0.250 0.562 0.824
Al 0.750 0.078 0.678
Al 0.750 0.438 0.176

=====

4.
First-principles (meta-GGA r2SCAN) data for AlAu4 after structural relaxation, as listed in the Materials Project database.

Computed properties:
formation energy = -0.224 eV/atom

Lattice parameters (Å, degrees): 6.978 6.978 6.978 90.00 90.00 90.00
Sites, in units of the cell vectors:
Al 0.436 0.936 0.564
Al 0.064 0.064 0.064
Al 0.564 0.436 0.936
Al 0.936 0.564 0.436
Au 0.613 0.285 0.551
Au 0.182 0.818 0.318
Au 0.887 0.715 0.051
Au 0.449 0.113 0.215
Au 0.318 0.182 0.818
Au 0.715 0.051 0.887
Au 0.682 0.682 0.682
Au 0.285 0.551 0.613
Au 0.387 0.785 0.949
Au 0.215 0.449 0.113
Au 0.785 0.949 0.387
Au 0.051 0.887 0.715
Au 0.818 0.318 0.182
Au 0.949 0.387 0.785
Au 0.551 0.613 0.285
Au 0.113 0.215 0.449

=====

5.
First-principles (meta-GGA r2SCAN) data for AlAu2 after structural relaxation, as listed in the Materials Project database.

Computed properties:
formation energy = -0.317 eV/atom

Lattice parameters (Å, degrees): 3.343 3.343 4.994 109.55 109.55 90.00
Sites, in units of the cell vectors:
Al 0.000 0.000 0.000
Au 0.656 0.656 0.313
Au 0.344 0.344 0.687

=====

6.
First-principles (meta-GGA r2SCAN) data for AlAu2 after structural relaxation, as listed in the Materials Project database.

Computed properties:
formation energy = -0.330 eV/atom

Lattice parameters (Å, degrees): 3.215 8.895 17.217 90.00 90.00 90.00
Sites, in units of the cell vectors:
Al 0.000 0.021 0.798
Al 0.500 0.479 0.298
Al 0.500 0.521 0.702
Al 0.500 0.529 0.098
Al 0.000 0.000 0.000
Al 0.000 0.979 0.202
Al 0.500 0.471 0.902
Al 0.000 0.971 0.598
Al 0.500 0.500 0.500
Al 0.000 0.029 0.402
Au 0.000 0.330 0.787
Au 0.000 0.670 0.213
Au 0.000 0.656 0.986
Au 0.000 0.362 0.186
Au 0.500 0.844 0.486
Au 0.500 0.170 0.287
Au 0.000 0.365 0.607
Au 0.500 0.138 0.686
Au 0.000 0.674 0.595
Au 0.500 0.830 0.713
Au 0.500 0.865 0.893
Au 0.000 0.344 0.014
Au 0.500 0.826 0.095
Au 0.000 0.326 0.405
Au 0.500 0.174 0.905
Au 0.000 0.635 0.393
Au 0.500 0.156 0.514
Au 0.500 0.135 0.107
~~~
Outcome =
First-principles (meta-GGA r2SCAN) data for Sr3Al2As4 after structural relaxation, as listed in the Materials Project database.
First-principles (meta-GGA r2SCAN) data for Sr3AlAs3 after structural relaxation, as listed in the Materials Project database.
First-principles (meta-GGA r2SCAN) data for AlAu after structural relaxation, as listed in the Materials Project database.
First-principles (meta-GGA r2SCAN) data for AlAu4 after structural relaxation, as listed in the Materials Project database.
First-principles (meta-GGA r2SCAN) data for AlAu2 after structural relaxation, as listed in the Materials Project database.
First-principles (meta-GGA r2SCAN) data for AlAu2 after structural relaxation, as listed in the Materials Project database.